Assignment.
Please retype the material further down from the line with "PaCl2F2, as" to the end without altering anything.

Input.
┌──
First-principles (GGA-PBE) data for a relaxed structure of MgCuP2O, as listed in the Alexandria database.

Lattice parameters (Å, degrees): 4.962 4.962 3.570 90.00 90.00 90.00
Atoms (fractional coordinates):
1 P 0.500 0.000 0.000
2 P 0.000 0.500 0.000
3 Cu 0.500 0.500 0.500
4 Mg 0.000 0.000 0.000
5 O 0.000 0.000 0.500

formation energy from raw total energies = 0.5516 eV/atom
crystal system = tetragonal
energy above the lowest structure with this stoichiometry = 0.327 eV/atom

=====

First-principles (GGA-PBE) data for a relaxed structure of SrInSb2, as listed in the Alexandria database.

Lattice parameters (Å, degrees): 3.699 3.699 8.979 90.00 90.00 90.00
Atoms (fractional coordinates):
1 Sb 0.000 0.000 0.511
2 Sb 0.000 0.000 0.989
3 In 0.500 0.500 0.750
4 Sr 0.500 0.500 0.250

formation energy from raw total energies = -0.3037 eV/atom
crystal system = tetragonal

=====

First-principles (GGA-PBE) data for a relaxed structure of YBePS2, as listed in the Alexandria database.

Lattice parameters (Å, degrees): 5.166 5.166 5.451 90.00 90.00 90.00
Site moments in Bohr magnetons follow the coordinates.
Atoms (fractional coordinates):
1 P 0.000 0.000 0.500  0.40
2 Be 0.500 0.500 0.500  -0.09
3 S 0.000 0.500 0.000  0.12
4 S 0.500 0.000 0.000  0.12
5 Y 0.000 0.000 0.000  0.00

formation energy from raw total energies = 0.5659 eV/atom
crystal system = tetragonal
energy above the lowest structure with this stoichiometry = 1.088 eV/atom

=====

First-principles (GGA-PBE) data for a relaxed structure of PaCl2F2, as listed in the Alexandria database.

Lattice parameters (Å, degrees): 3.945 4.523 12.766 90.00 90.00 90.00
Site moments in Bohr magnetons follow the coordinates.
Atoms (fractional coordinates):
1 Cl 0.000 0.500 0.127  -0.01
2 Cl 0.000 0.000 0.373  -0.01
3 Cl 0.000 0.500 0.873  -0.01
4 Cl 0.000 0.000 0.627  -0.01
5 Pa 0.000 0.500 0.500  1.01
6 Pa 0.000 0.000 0.000  1.01
7 F 0.500 0.500 0.595  -0.01
8 F 0.500 0.500 0.405  -0.01
9 F 0.500 0.000 0.905  -0.01
10 F 0.500 0.000 0.095  -0.01

formation energy from raw total energies = -2.7807 eV/atom
crystal system = orthorhombic
energy above the lowest structure with this stoichiometry = 0.000 eV/atom

=====

First-principles (GGA-PBE) data for a relaxed structure of HgBiBr3, as listed in the Alexandria database.

Lattice parameters (Å, degrees): 6.808 7.883 7.783 90.00 90.00 109.79
Atoms (fractional coordinates):
1 Br 0.960 0.748 0.999
2 Br 0.492 0.857 0.250
3 Br 0.960 0.748 0.501
4 Br 0.040 0.252 0.499
5 Br 0.508 0.143 0.750
6 Br 0.040 0.252 0.001
7 Hg 0.557 0.377 0.250
8 Hg 0.443 0.623 0.750
9 Bi 0.174 0.987 0.250
10 Bi 0.826 0.013 0.750

formation energy from raw total energies = -0.5127 eV/atom
crystal system = monoclinic
energy above the lowest structure with this stoichiometry = 0.000 eV/atom

=====

First-principles (GGA-PBE) data for a relaxed structure of Sr2Zn3HgAu4, as listed in the Alexandria database.

Lattice parameters (Å, degrees): 4.623 4.623 10.789 90.00 90.00 90.00
Atoms (fractional coordinates):
1 Sr 0.500 0.000 0.240
2 Sr 0.000 0.500 0.760
3 Zn 0.000 0.500 0.115
4 Zn 0.500 0.000 0.885
5 Zn 0.000 0.000 0.500
6 Au 0.000 0.000 0.000
7 Au 0.500 0.500 0.000
8 Au 0.000 0.500 0.351
9 Au 0.500 0.000 0.649
10 Hg 0.500 0.500 0.500

crystal system = tetragonal
VASP energy = -2.5462 eV/atom

=====

First-principles (GGA-PBE) data for a relaxed structure of Li2YCu, as listed in the Alexandria database.

Lattice parameters (Å, degrees): 3.984 3.972 5.186 90.00 90.00 90.00
Atoms (fractional coordinates):
1 Cu 0.000 0.500 0.500
2 Li 0.500 0.500 0.000
3 Li 0.000 0.000 0.000
4 Y 0.500 0.000 0.500

crystal system = orthorhombic
energy above the lowest structure with this stoichiometry = 0.081 eV/atom

=====

First-principles (GGA-PBE) data for a relaxed structure of Mg12AgPd6, as listed in the Alexandria database.

Lattice parameters (Å, degrees): 7.624 7.624 7.624 107.53 107.53 107.53
Atoms (fractional coordinates):
1 Mg 0.983 0.128 0.673
2 Mg 0.582 0.904 0.664
└──

Reply.
First-principles (GGA-PBE) data for a relaxed structure of PaCl2F2, as listed in the Alexandria database.

Lattice parameters (Å, degrees): 3.945 4.523 12.766 90.00 90.00 90.00
Site moments in Bohr magnetons follow the coordinates.
Atoms (fractional coordinates):
1 Cl 0.000 0.500 0.127  -0.01
2 Cl 0.000 0.000 0.373  -0.01
3 Cl 0.000 0.500 0.873  -0.01
4 Cl 0.000 0.000 0.627  -0.01
5 Pa 0.000 0.500 0.500  1.01
6 Pa 0.000 0.000 0.000  1.01
7 F 0.500 0.500 0.595  -0.01
8 F 0.500 0.500 0.405  -0.01
9 F 0.500 0.000 0.905  -0.01
10 F 0.500 0.000 0.095  -0.01

formation energy from raw total energies = -2.7807 eV/atom
crystal system = orthorhombic
energy above the lowest structure with this stoichiometry = 0.000 eV/atom

=====

First-principles (GGA-PBE) data for a relaxed structure of HgBiBr3, as listed in the Alexandria database.

Lattice parameters (Å, degrees): 6.808 7.883 7.783 90.00 90.00 109.79
Atoms (fractional coordinates):
1 Br 0.960 0.748 0.999
2 Br 0.492 0.857 0.250
3 Br 0.960 0.748 0.501
4 Br 0.040 0.252 0.499
5 Br 0.508 0.143 0.750
6 Br 0.040 0.252 0.001
7 Hg 0.557 0.377 0.250
8 Hg 0.443 0.623 0.750
9 Bi 0.174 0.987 0.250
10 Bi 0.826 0.013 0.750

formation energy from raw total energies = -0.5127 eV/atom
crystal system = monoclinic
energy above the lowest structure with this stoichiometry = 0.000 eV/atom

=====

First-principles (GGA-PBE) data for a relaxed structure of Sr2Zn3HgAu4, as listed in the Alexandria database.

Lattice parameters (Å, degrees): 4.623 4.623 10.789 90.00 90.00 90.00
Atoms (fractional coordinates):
1 Sr 0.500 0.000 0.240
2 Sr 0.000 0.500 0.760
3 Zn 0.000 0.500 0.115
4 Zn 0.500 0.000 0.885
5 Zn 0.000 0.000 0.500
6 Au 0.000 0.000 0.000
7 Au 0.500 0.500 0.000
8 Au 0.000 0.500 0.351
9 Au 0.500 0.000 0.649
10 Hg 0.500 0.500 0.500

crystal system = tetragonal
VASP energy = -2.5462 eV/atom

=====

First-principles (GGA-PBE) data for a relaxed structure of Li2YCu, as listed in the Alexandria database.

Lattice parameters (Å, degrees): 3.984 3.972 5.186 90.00 90.00 90.00
Atoms (fractional coordinates):
1 Cu 0.000 0.500 0.500
2 Li 0.500 0.500 0.000
3 Li 0.000 0.000 0.000
4 Y 0.500 0.000 0.500

crystal system = orthorhombic
energy above the lowest structure with this stoichiometry = 0.081 eV/atom

=====

First-principles (GGA-PBE) data for a relaxed structure of Mg12AgPd6, as listed in the Alexandria database.

Lattice parameters (Å, degrees): 7.624 7.624 7.624 107.53 107.53 107.53
Atoms (fractional coordinates):
1 Mg 0.983 0.128 0.673
2 Mg 0.582 0.904 0.664